Launch on for Win64 produces fatal error

UE - Foundation - Core - May 18, 2015

Creating a C++ project and then attempting launch on for Windows 64 causes a fatal error crash in 4.8 preview 2 binary from launcher. Project recovers from fatal error and can then package and run . ...

Importing a New Substance Preset will crash the engine

UE - Foundation - Core - May 13, 2015

With the Substance plugin installed and when you try to import new preset data into the Substance Graph Instance, the engine will crash ...

Externally Referenced error is produced after cloning a 4.6.1 project and converting it to a 4.7.6 project

UE - Foundation - Core - May 13, 2015

Attached: calculated molecules >
~~~
{"formula": "C31H59F3N7O5", "method": "wB97M-V/def2-TZVPD", "s_squared": 2.0082, "spin_multiplicity": 3, "e_tot_ha": -2275.326871, "charge": 1, "elements": ["C", "C", "C", "N", "C", "O", "C", "N", "C", "O", "N", "C", "O", "F", "C", "N", "C", "C", "C", "F", "C", "C", "F", "N", "H", "H", "H", "H", "H", "H", "H", "H", "H", "H", "H", "H", "H", "H", "H", "H", "H", "H", "H", "H", "H", "H", "H", "C", "C", "C", "C", "C", "C", "N", "O", "C", "C", "C", "H", "H", "H", "H", "H", "H", "H", "H", "H", "H", "H", "H", "H", "H", "H", "H", "H", "H", "C", "C", "C", "C", "C", "C", "N", "O", "C", "C", "C", "H", "H", "H", "H", "H", "H", "H", "H", "H", "H", "H", "H", "H", "H", "H", "H", "H", "H"], "coordinates": [[2.093, 2.290, -1.435], [1.786, 0.807, -1.833], [0.657, 0.712, -2.893], [-0.668, 0.384, -2.333], [-1.345, 1.484, -1.734], [-0.868, 1.731, -0.444], [-1.510, 2.812, -2.522], [-2.929, 3.227, -2.318], [-2.818, 4.510, -1.621], [-2.242, 4.619, -0.616], [-3.424, 5.662, -2.192], [-2.885, 5.994, -3.442], [-2.165, 5.358, -4.084], [-3.278, 7.173, -3.889], [-3.615, 2.201, -1.676], [-4.815, 2.186, -1.219], [-5.692, 3.384, -1.368], [-5.922, 3.779, -2.862], [-7.405, 3.780, -3.270], [-7.758, 2.634, -3.946], [-5.410, 1.002, -0.587], [-4.577, 0.390, 0.550], [-5.566, 0.072, -1.605], [-2.778, 1.127, -1.623], [1.248, 2.910, -1.779], [2.976, 2.668, -1.958], [2.152, 2.409, -0.348], [2.703, 0.426, -2.304], [1.606, 0.174, -0.960], [0.926, -0.136, -3.539], [0.679, 1.605, -3.543], [-1.227, -0.066, -3.050], [-0.503, 2.624, -0.391], [-1.476, 2.517, -3.588], [-0.739, 3.581, -2.485], [-3.236, 6.461, -1.582], [-5.207, 4.233, -0.866], [-6.653, 3.221, -0.876], [-5.360, 3.135, -3.549], [-5.528, 4.790, -3.015], [-7.570, 4.612, -3.969], [-8.064, 3.964, -2.409], [-6.418, 1.206, -0.221], [-4.179, -0.562, 0.173], [-3.728, 0.998, 0.875], [-5.212, 0.110, 1.397], [-3.081, 0.314, -2.151], [-3.550, -3.723, 5.816], [-3.466, -3.664, 4.276], [-2.331, -4.573, 3.793], [-0.947, -4.000, 4.084], [-0.817, -2.595, 3.503], [-1.937, -1.645, 3.942], [-3.296, -2.253, 3.813], [-3.641, -2.200, 2.560], [-1.697, -1.196, 5.400], [-1.818, -0.346, 3.134], [-4.806, -4.250, 3.819], [-3.818, -4.731, 6.136], [-2.613, -3.504, 6.321], [-4.314, -3.043, 6.195], [-2.423, -4.738, 2.714], [-2.422, -5.556, 4.261], [-0.753, -3.991, 5.160], [-0.186, -4.647, 3.643], [0.153, -2.174, 3.782], [-0.812, -2.673, 2.410], [-2.579, -0.702, 5.812], [-0.874, -0.481, 5.453], [-1.412, -2.007, 6.066], [-1.855, -0.519, 2.058], [-0.863, 0.138, 3.338], [-2.612, 0.357, 3.399], [-5.638, -3.613, 4.128], [-4.959, -5.233, 4.266], [-4.858, -4.385, 2.739], [7.548, -2.079, -3.007], [6.585, -1.042, -2.393], [7.366, 0.227, -2.036], [8.261, 0.047, -0.813], [7.449, -0.457, 0.376], [6.634, -1.719, 0.069], [5.873, -1.619, -1.214], [4.813, -0.898, -0.995], [7.571, -2.947, 0.032], [5.707, -2.001, 1.257], [5.617, -0.726, -3.538], [7.952, -1.702, -3.948], [8.415, -2.299, -2.392], [7.031, -3.016, -3.223], [6.668, 1.049, -1.842], [7.975, 0.539, -2.888], [9.083, -0.638, -1.036], [8.724, 1.004, -0.558], [8.118, -0.647, 1.219], [6.774, 0.344, 0.696], [7.067, -3.815, -0.396], [7.886, -3.222, 1.039], [8.494, -2.777, -0.518], [5.050, -1.160, 1.482], [6.295, -2.186, 2.157], [5.088, -2.882, 1.074], [5.025, -1.606, -3.804], [6.170, -0.419, -4.426], [4.933, 0.088, -3.296]]}
~~~

A User in unable to save there project because of they get warnings for all of the objects in their scene saying they are externally referenced. This happens after cloning a project and then convert ...

Subobject instancing is broken and causes asserts when creating an instance of a blueprint class from non-CDO archetype

UE - Foundation - Core - May 13, 2015

When spawning an instance of a blueprint using an archetype that is not a class default object, child components will be attached to the template component instead of the instance. ...

Compile failure in UHT with combined multi-line / single line comments

UE - Foundation - Core - Apr 22, 2015

Using a single line comment to immediately follow a multi-line comment closing brace results in an illegible compile errors: "error code: CrashOrAssert(3)" Workaround: Include a space between */ an ...

Crash with for loop and TArray in constructor to generate multiple StaticMeshComponents

UE - Foundation - Core - Apr 20, 2015

Using a TArray to store multiple components being setup inside a for loop of a constructor will crash on project open. Crash Reporter: [Link Removed] ...

Projects with "TargetPlatform" set as a dependency cannot be packaged to Windows 64-bit if the project is made using the binary version of the Editor..

UE - Foundation - Core - Apr 10, 2015

Including "TargetPlatform" as a private dependency of a code project created using the binary version of the Engine prevents the Editor from being able to package the project for Win64. Removing the ...

== The piece is interrupted by molecular data ==
┌──
Entry 1:
{"formula": "C5H11N2O", "method": "ωB97M-V/def2-TZVPD", "multiplicity": 1, "total_charge": 1, "relative_energy_kj_mol": 216.58, "orbital_gap_ev": 10.977, "homo_ev": -14.29, "smiles": "C=CC[C@H]([NH3+])C(N)=O", "elements": ["N", "C", "C", "C", "C", "C", "N", "O", "H", "H", "H", "H", "H", "H", "H", "H", "H", "H", "H"], "positions_angstrom": [[1.20187, 0.32613, 0.91651], [0.01673, -0.61899, 0.61629], [-0.77004, 0.24324, -0.47959], [-0.92932, 1.72447, -0.02557], [-0.20446, 2.60895, -0.70500], [0.61661, -1.83003, -0.16530], [-0.32892, -2.82427, -0.07704], [1.66828, -2.03956, -0.69699], [1.77558, 0.69667, 0.15425], [1.89873, -0.22095, 1.43092], [0.89690, 1.12814, 1.47521], [-0.54276, -0.72288, 1.54599], [-1.77768, -0.09840, -0.74188], [-0.29477, 0.10465, -1.46213], [-1.63913, 1.89694, 0.75675], [0.13206, 2.50262, -1.72065], [-0.25208, 3.66474, -0.40971], [-1.32749, -2.81081, 0.07477], [-0.14010, -3.73067, -0.48682]], "forces_ev_per_a": [[0.7, -1.0, 1.2], [1.2, 2.9, -3.2], [-1.3, 0.2, 0.4], [1.5, -2.1, -2.0], [-1.6, 2.1, 0.7], [-3.1, -2.4, 1.6], [-0.2, -1.2, -0.6], [0.8, 1.7, 0.3], [-0.8, -0.1, -0.7], [-0.1, 0.1, 0.4], [0.1, -0.1, -0.1], [0.3, -0.6, -0.2], [0.0, -0.6, 0.8], [0.5, 0.5, 0.5], [0.1, 0.4, 0.7], [0.8, -0.8, 0.0], [0.0, -0.3, 0.0], [0.1, 1.1, 0.4], [0.7, 0.3, -0.2]], "mulliken_charge": [-0.32, -0.10, -0.66, -0.41, -0.69, 0.37, -0.37, -0.53, 0.33, 0.38, 0.41, 0.35, 0.38, 0.38, 0.44, 0.29, 0.28, 0.21, 0.25]}

Entry 2:
└──

Landscape LOD menu does not appear in Details Pane

UE - Foundation - Core - Apr 8, 2015

Landscape LOD menu is missing from Details Pane of editor. Found in Master Branch, latest commit before pulling branch. ...

**Records of molecules from another source follow**
____________
The following is a quantum chemistry calculation of 5 unconnected molecules or ions with the total composition C19H33BCl8F8O, from the Open Molecules 2025 dataset.

Positions of all 70 atoms, in Å:
C (4.61192, 0.75462, -1.11134)
C (3.54714, 0.46518, -0.03933)
C (3.96405, -0.74851, 0.80505)
C (3.30989, 1.70596, 0.82946)
B (2.62404, 2.92691, 0.12507)
C (1.37506, 2.80493, -0.82952)
C (0.09354, 3.20154, -0.08960)
O (-0.27093, 2.17910, 0.84610)
C (-1.58198, 1.71577, 0.69129)
C (-1.79010, 0.53335, 1.63521)
F (-1.16936, 0.78966, 2.81679)
F (-3.12502, 0.41564, 1.90451)
C (-1.27560, -0.88038, 1.16195)
F (-0.07623, -1.12642, 1.73858)
F (-2.15552, -1.82966, 1.58623)
C (-1.09102, -1.13367, -0.36046)
F (-0.08987, -0.36259, -0.83145)
F (-0.69880, -2.43966, -0.47233)
C (-2.35714, -0.99194, -1.26081)
F (-2.14482, -0.02888, -2.20030)
F (-3.43115, -0.61502, -0.52303)
H (4.50860, 0.04307, -1.93372)
H (4.53013, 1.76696, -1.50352)
H (5.61179, 0.63160, -0.68582)
H (2.63260, 0.18165, -0.56339)
H (3.10483, -1.26218, 1.24178)
H (4.65461, -0.45182, 1.59823)
H (4.47992, -1.47317, 0.17111)
H (4.26993, 2.01688, 1.25813)
H (2.67451, 1.43877, 1.68907)
H (3.02914, 4.03269, 0.35663)
H (1.49208, 3.48573, -1.68028)
H (1.26305, 1.79103, -1.21471)
H (-0.72488, 3.38606, -0.79097)
H (0.25909, 4.11616, 0.48723)
H (-1.79925, 1.44871, -0.34485)
H (-2.31739, 2.47284, 0.99458)
H (-2.56118, -1.94012, -1.76161)
Cl (6.25437, 2.90625, -3.25598)
C (5.61046, 4.13365, -4.37496)
C (5.36576, 5.44733, -3.67928)
Cl (4.03842, 5.32894, -2.49399)
H (4.69211, 3.73911, -4.80205)
H (6.34183, 4.26546, -5.17038)
H (5.08005, 6.20246, -4.40940)
H (6.25210, 5.78400, -3.14845)
Cl (-8.54002, -0.12147, 2.97048)
C (-7.20530, -0.27491, 1.79809)
C (-6.30382, 0.93106, 1.79335)
Cl (-7.11284, 2.38123, 1.13989)
H (-7.64298, -0.44743, 0.81850)
H (-6.63226, -1.15506, 2.08127)
H (-5.44223, 0.73380, 1.15882)
H (-5.95615, 1.16969, 2.79502)
Cl (-7.45340, -4.22903, 3.34952)
C (-5.83559, -4.90792, 3.03789)
C (-4.88890, -3.87345, 2.48865)
Cl (-5.34382, -3.36339, 0.83975)
H (-5.95107, -5.74262, 2.35162)
H (-5.45585, -5.28020, 3.98765)
H (-3.88264, -4.28386, 2.42764)
H (-4.86712, -2.98546, 3.11566)
Cl (4.15237, -4.59549, 0.43294)
C (2.54713, -4.59487, -0.33975)
C (2.62829, -4.40592, -1.83239)
Cl (3.17531, -2.76638, -2.27138)
H (1.96106, -3.80577, 0.12234)
H (2.08609, -5.55555, -0.11638)
H (1.63966, -4.53759, -2.26894)
H (3.31333, -5.11738, -2.28567)

Forces on atoms 1 to 3 (eV/Å):
-0.3 -0.2 0.3
0.2 -0.2 0.1
0.1 0.0 -0.4

## Properties
E_tot   -5324.31004 a.u.
HOMO level   -10.22 eV

~~~~~

Record 1
The following is a DFT calculation (wB97M-V/def2-TZVPD) of a structure of composition C39H35CdClN2Si2 at a distorted geometry.

The geometry in XYZ format:
```
80
Properties=species:S:1:pos:R:3:mulliken_charge:R:1
C -1.80 -0.57 4.12 -0.59
C -2.11 -0.05 2.85 -1.52
C -1.64 -0.97 1.85 -0.46
H -2.63 0.88 2.64 0.43
C -1.03 -2.06 2.57 0.05
C -1.12 -1.80 3.95 -1.04
H -0.79 -2.46 4.75 0.49
H -2.04 -0.11 5.08 0.52
H -1.98 -0.99 0.81 0.95
____________

Packaged Game crashes after user has upgraded to 4.7

UE - Foundation - Core - Mar 31, 2015

It only seems to be this user's game that crashes when he packages or does launch on windows I have reproduced this locally. I honestly don't know why this repro's, but I have an example project a ...

Stat FPS will freeze a project when packaged for shipping

UE - Foundation - Core - Mar 31, 2015

If you have an Execute Console Command node in your level blueprint with a pressed key executable node, The project will freeze if packaged for shipping when 'Stat FPS' in in the Command box. Test ...